# File
-- begin --
(1)
# YCd3Ge

A geometry-optimized YCd3Ge structure (PBE, Alexandria via LeMat-Bulk).

Computed properties:
E above lowest polymorph: 0.0000 eV/atom
mass density: 5.986 g/cm3
DFT total energy: -2.49 eV/atom
energy of formation: 0.2706 eV/atom

Unit cell a=5.1722 b=5.1722 c=5.1722 alpha=90.00 beta=90.00 gamma=90.00
Space group Pm-3m (No. 221)
Asymmetric unit:
Y: 0.0000 0.0000 0.0000 [1 per cell]
Cd: 0.0000 0.5000 0.5000 [3 per cell]
Ge: 0.5000 0.5000 0.5000 [1 per cell]

---

(2)
# YCd2Ge2

A geometry-optimized YCd2Ge2 structure (PBE, Alexandria via LeMat-Bulk).

Computed properties:
E above lowest polymorph: 0.1919 eV/atom
mass density: 6.468 g/cm3
DFT total energy: -3.56 eV/atom
energy of formation: -0.0540 eV/atom

Unit cell a=4.8336 b=4.8336 c=10.0874 alpha=90.00 beta=90.00 gamma=90.00
Space group I4/mmm (No. 139)
Asymmetric unit:
Y: 0.0000 0.0000 0.0000 [2 per cell]
Cd: 0.0000 0.0000 0.3692 [4 per cell]
Ge: 0.0000 0.5000 0.2500 [4 per cell]

=====

# Np4ScS7

A relaxed Np4ScS7 crystal (GGA-PBE, Alexandria).

Cell and atoms, written as POSCAR:
```
Np4ScS7
1.0
-2.535 -2.522 -1.271
4.666 -3.512 3.326
-7.239 3.306 7.883
S Sc Np
7 1 4
Direct
0.728 0.457 0.357
0.042 0.083 0.764
0.966 0.932 0.215
0.665 0.329 0.055
0.349 0.699 0.953
0.469 0.938 0.479
0.272 0.545 0.653
0.875 0.750 0.570
0.108 0.215 0.437
0.313 0.625 0.210
0.706 0.412 0.815
0.007 0.014 0.992
```

Calculated values
The formation energy without anion corrections comes out at -1.438 eV/atom. As for the total energy: -8.69 eV/atom. Its space group is No. 8. The density of states at the Fermi level comes out at 36.05 states/eV per cell.
-- stop --
# Wanted
It remains to count the lines further up that contain the word "PBE" and give the number alone.
# Written answer
2